-- Listing --
This record from OMol25 describes a structure of composition C29H31N3O2PdS3 in a non-equilibrium geometry. The level of theory is ωB97M-V/def2-TZVPD.

Structure (XYZ):
```
69
Properties=species:S:1:pos:R:3:nbo_charge:R:1
Pd -0.822 0.625 0.064 0.614
C -4.580 -2.191 0.661 -0.084
O -4.922 -0.793 0.628 -0.444
C -3.804 -0.135 0.380 0.561
N -2.732 -0.806 0.168 -0.517
C -3.091 -2.228 0.218 -0.120
C -2.262 -3.058 1.166 -0.063
C -2.008 -4.392 0.864 -0.213
C -1.338 -5.199 1.771 -0.194
C -0.920 -4.683 2.988 -0.200
C -1.166 -3.351 3.291 -0.228
C -1.829 -2.538 2.380 -0.188
C -3.830 1.331 0.286 0.134
C -4.991 2.097 0.268 -0.166
C -4.875 3.466 0.070 -0.130
C -3.617 4.027 -0.101 -0.167
C -2.514 3.183 -0.050 0.126
N -2.628 1.874 0.141 -0.422
C -1.127 3.634 -0.201 0.573
N -0.128 2.860 0.032 -0.554
C 1.090 3.640 -0.204 -0.114
C 0.540 5.008 -0.701 -0.086
O -0.888 4.876 -0.575 -0.439
C 2.020 3.026 -1.223 -0.053
C 1.549 2.151 -2.200 -0.171
C 2.414 1.672 -3.174 -0.226
C 3.750 2.043 -3.166 -0.197
C 4.226 2.904 -2.185 -0.201
C 3.364 3.398 -1.221 -0.221
H -5.250 -2.729 -0.005 0.222
H -4.717 -2.551 1.681 0.213
H -2.991 -2.628 -0.796 0.218
H -2.351 -4.804 -0.077 0.222
H -1.168 -6.240 1.535 0.235
H -0.411 -5.319 3.698 0.236
H -0.864 -2.951 4.250 0.228
H -2.038 -1.501 2.627 0.210
H -5.951 1.620 0.397 0.261
H -5.758 4.088 0.040 0.255
H -3.479 5.084 -0.276 0.260
H 1.615 3.745 0.751 0.216
H 0.772 5.190 -1.751 0.215
H 0.865 5.860 -0.107 0.222
H 0.501 1.863 -2.213 0.214
H 2.038 1.029 -3.957 0.229
H 4.420 1.676 -3.931 0.236
H 5.266 3.197 -2.176 0.237
H 3.729 4.081 -0.465 0.226
C 3.994 -1.073 -0.937 -0.560
C 4.279 -0.341 0.387 -0.581
S 2.991 0.841 0.905 0.753
C 1.863 -0.111 1.977 -0.577
C 1.413 -1.398 1.336 -0.571
S 0.760 -1.087 -0.338 0.271
C 0.816 -2.804 -0.962 -0.518
C 2.137 -3.120 -1.670 -0.537
S 3.651 -2.853 -0.690 0.234
H 4.867 -1.009 -1.583 0.256
H 3.153 -0.624 -1.454 0.254
H 5.157 0.293 0.268 0.274
H 4.466 -1.028 1.213 0.264
H 1.022 0.565 2.169 0.263
H 2.396 -0.306 2.910 0.280
H 0.638 -1.879 1.931 0.272
H 2.253 -2.084 1.221 0.257
H -0.002 -2.917 -1.673 0.251
H 0.645 -3.466 -0.114 0.253
H 2.231 -2.564 -2.601 0.234
H 2.155 -4.186 -1.899 0.263
```

- E_HOMO (spin up / spin down): -13.727 / -14.034 eV
- E_LUMO (spin up / spin down): -5.662 / -9.517 eV
- ⟨S²⟩: 2.008
- Spin multiplicity: 3
- Net charge: +2
- ΔE to the lowest compared entry with this formula, charge and spin: 1.319 eV

***

This record from OMol25 describes a structure of composition C8H18O11Zn in a non-equilibrium geometry. The level of theory is ωB97M-V/def2-TZVPD.

Structure (XYZ):
```
38
Properties=species:S:1:pos:R:3:nbo_charge:R:1
Zn -17.568 -2.509 -2.244 1.772
C -17.173 -3.525 2.078 -0.735
C -18.239 -3.491 0.984 0.782
O -17.883 -2.968 -0.120 -0.890
O -19.316 -4.016 1.262 -0.714
H -16.427 -4.287 1.812 0.213
H -17.578 -3.872 3.031 0.195
H -16.536 -2.646 2.233 0.188
C -19.243 -6.128 -3.940 -0.726
C -19.572 -5.038 -2.918 0.801
O -18.885 -3.961 -3.041 -0.910
O -20.460 -5.253 -2.103 -0.713
H -20.154 -6.412 -4.470 0.197
H -18.927 -7.020 -3.392 0.205
H -18.455 -5.807 -4.615 0.216
C -14.503 -3.747 -0.327 -0.739
C -15.060 -4.315 -1.637 0.799
O -14.572 -5.380 -2.027 -0.731
O -15.903 -3.604 -2.261 -0.888
H -13.581 -3.235 -0.631 0.192
H -14.264 -4.550 0.364 0.208
H -15.166 -3.022 0.144 0.212
C -16.510 -0.169 -5.911 -0.723
C -17.581 -1.024 -5.253 0.774
O -18.675 -1.072 -5.819 -0.724
O -17.264 -1.537 -4.136 -0.876
H -16.502 0.803 -5.392 0.190
H -16.725 0.015 -6.960 0.199
H -15.486 -0.513 -5.736 0.202
O -16.380 -0.806 -1.677 -0.955
H -15.534 -1.088 -1.314 0.494
H -16.282 0.107 -1.951 0.483
O -19.260 -1.308 -2.043 -0.974
H -19.656 -0.686 -2.662 0.505
H -19.639 -1.149 -1.174 0.498
O -21.088 -2.592 -4.048 -0.992
H -21.713 -3.000 -3.442 0.453
H -20.227 -2.933 -3.706 0.511
```

- E_HOMO: -2.504 eV
- E_LUMO: 4.365 eV
- Net charge: -2
- ΔE to the lowest compared entry with this formula, charge and spin: 0.114 eV

***

-- Work order --
Write out everything further up unchanged.

-- Completed --
This record from OMol25 describes a structure of composition C29H31N3O2PdS3 in a non-equilibrium geometry. The level of theory is ωB97M-V/def2-TZVPD.

Structure (XYZ):
```
69
Properties=species:S:1:pos:R:3:nbo_charge:R:1
Pd -0.822 0.625 0.064 0.614
C -4.580 -2.191 0.661 -0.084
O -4.922 -0.793 0.628 -0.444
C -3.804 -0.135 0.380 0.561
N -2.732 -0.806 0.168 -0.517
C -3.091 -2.228 0.218 -0.120
C -2.262 -3.058 1.166 -0.063
C -2.008 -4.392 0.864 -0.213
C -1.338 -5.199 1.771 -0.194
C -0.920 -4.683 2.988 -0.200
C -1.166 -3.351 3.291 -0.228
C -1.829 -2.538 2.380 -0.188
C -3.830 1.331 0.286 0.134
C -4.991 2.097 0.268 -0.166
C -4.875 3.466 0.070 -0.130
C -3.617 4.027 -0.101 -0.167
C -2.514 3.183 -0.050 0.126
N -2.628 1.874 0.141 -0.422
C -1.127 3.634 -0.201 0.573
N -0.128 2.860 0.032 -0.554
C 1.090 3.640 -0.204 -0.114
C 0.540 5.008 -0.701 -0.086
O -0.888 4.876 -0.575 -0.439
C 2.020 3.026 -1.223 -0.053
C 1.549 2.151 -2.200 -0.171
C 2.414 1.672 -3.174 -0.226
C 3.750 2.043 -3.166 -0.197
C 4.226 2.904 -2.185 -0.201
C 3.364 3.398 -1.221 -0.221
H -5.250 -2.729 -0.005 0.222
H -4.717 -2.551 1.681 0.213
H -2.991 -2.628 -0.796 0.218
H -2.351 -4.804 -0.077 0.222
H -1.168 -6.240 1.535 0.235
H -0.411 -5.319 3.698 0.236
H -0.864 -2.951 4.250 0.228
H -2.038 -1.501 2.627 0.210
H -5.951 1.620 0.397 0.261
H -5.758 4.088 0.040 0.255
H -3.479 5.084 -0.276 0.260
H 1.615 3.745 0.751 0.216
H 0.772 5.190 -1.751 0.215
H 0.865 5.860 -0.107 0.222
H 0.501 1.863 -2.213 0.214
H 2.038 1.029 -3.957 0.229
H 4.420 1.676 -3.931 0.236
H 5.266 3.197 -2.176 0.237
H 3.729 4.081 -0.465 0.226
C 3.994 -1.073 -0.937 -0.560
C 4.279 -0.341 0.387 -0.581
S 2.991 0.841 0.905 0.753
C 1.863 -0.111 1.977 -0.577
C 1.413 -1.398 1.336 -0.571
S 0.760 -1.087 -0.338 0.271
C 0.816 -2.804 -0.962 -0.518
C 2.137 -3.120 -1.670 -0.537
S 3.651 -2.853 -0.690 0.234
H 4.867 -1.009 -1.583 0.256
H 3.153 -0.624 -1.454 0.254
H 5.157 0.293 0.268 0.274
H 4.466 -1.028 1.213 0.264
H 1.022 0.565 2.169 0.263
H 2.396 -0.306 2.910 0.280
H 0.638 -1.879 1.931 0.272
H 2.253 -2.084 1.221 0.257
H -0.002 -2.917 -1.673 0.251
H 0.645 -3.466 -0.114 0.253
H 2.231 -2.564 -2.601 0.234
H 2.155 -4.186 -1.899 0.263
```

- E_HOMO (spin up / spin down): -13.727 / -14.034 eV
- E_LUMO (spin up / spin down): -5.662 / -9.517 eV
- ⟨S²⟩: 2.008
- Spin multiplicity: 3
- Net charge: +2
- ΔE to the lowest compared entry with this formula, charge and spin: 1.319 eV

***

This record from OMol25 describes a structure of composition C8H18O11Zn in a non-equilibrium geometry. The level of theory is ωB97M-V/def2-TZVPD.

Structure (XYZ):
```
38
Properties=species:S:1:pos:R:3:nbo_charge:R:1
Zn -17.568 -2.509 -2.244 1.772
C -17.173 -3.525 2.078 -0.735
C -18.239 -3.491 0.984 0.782
O -17.883 -2.968 -0.120 -0.890
O -19.316 -4.016 1.262 -0.714
H -16.427 -4.287 1.812 0.213
H -17.578 -3.872 3.031 0.195
H -16.536 -2.646 2.233 0.188
C -19.243 -6.128 -3.940 -0.726
C -19.572 -5.038 -2.918 0.801
O -18.885 -3.961 -3.041 -0.910
O -20.460 -5.253 -2.103 -0.713
H -20.154 -6.412 -4.470 0.197
H -18.927 -7.020 -3.392 0.205
H -18.455 -5.807 -4.615 0.216
C -14.503 -3.747 -0.327 -0.739
C -15.060 -4.315 -1.637 0.799
O -14.572 -5.380 -2.027 -0.731
O -15.903 -3.604 -2.261 -0.888
H -13.581 -3.235 -0.631 0.192
H -14.264 -4.550 0.364 0.208
H -15.166 -3.022 0.144 0.212
C -16.510 -0.169 -5.911 -0.723
C -17.581 -1.024 -5.253 0.774
O -18.675 -1.072 -5.819 -0.724
O -17.264 -1.537 -4.136 -0.876
H -16.502 0.803 -5.392 0.190
H -16.725 0.015 -6.960 0.199
H -15.486 -0.513 -5.736 0.202
O -16.380 -0.806 -1.677 -0.955
H -15.534 -1.088 -1.314 0.494
H -16.282 0.107 -1.951 0.483
O -19.260 -1.308 -2.043 -0.974
H -19.656 -0.686 -2.662 0.505
H -19.639 -1.149 -1.174 0.498
O -21.088 -2.592 -4.048 -0.992
H -21.713 -3.000 -3.442 0.453
H -20.227 -2.933 -3.706 0.511
```

- E_HOMO: -2.504 eV
- E_LUMO: 4.365 eV
- Net charge: -2
- ΔE to the lowest compared entry with this formula, charge and spin: 0.114 eV

***